There’s a terrific new article, available electronically ahead of publication that I’d like to highlight this morning. [Ed: okay, I will revise the terrific part, since the authors botch fluorescence vs absorption, or at least qualify my use of it to say that it’s terrific for me, because of the article’s conclusions.] It’s important, because it contributes to the science on using an alternate light source to identify subclinical bruising. The use of ALS for this purpose, particularly in strangulation cases, is one against which I caution folks, because the limited research on the subject hasn’t been particularly (forgive me) illuminating. This study changes that.
Published in the Journal of Forensic Science, Is Fluorescence Under an Alternate Light Source Sufficient to Accurately Diagnose Subclinical Bruising? is the research for which I have been waiting. For one thing, it includes a control group as a comparison, which allows for the ability to examine sensitivity and specificity, a significant limitation of Holbrook & Jackson’s article. Furthermore, it helps outline the appropriate use of ALS in assessing bruising: “The ability of ALS fluorescence to enhance the visualization of a known bruise visible under white light may assist in identifying a clear pattern that is consistent with the reported mechanism of injury.” (p. 5). But because there has been a spectacular push to use this technology to assess bruising without much actual evidence behind it, consider what I think is the most important statement in the entire article:
=====
Entry 1:
14
Properties=species:S:1:pos:R:3:forces:R:3:lowdin_charge:R:1 method="wB97M-V/def2-TZVPD" e_above_lowest_kj_mol=276.6 orbital_gap_ha=0.462 total_charge=+1 mol_weight_g_mol=86.11 lumo_ev=-3.557 total_energy_ha=-286.8371
C -1.565638 -0.751993 -0.538830 2.9653 0.4919 1.0412 0.106
N -0.175818 -0.307740 0.010364 -2.8776 -1.5779 -2.0802 -0.105
C 0.736658 -1.445444 0.288765 -0.0257 2.9907 1.6645 0.052
C 0.069836 0.911544 0.036801 4.0434 3.7004 -0.4289 -0.282
C 1.025922 2.063147 0.312898 -0.6350 -1.2922 0.3736 0.110
O -0.307473 2.096281 -0.403744 -0.6337 -1.0697 0.8960 0.126
H -1.275155 -1.681215 -1.037898 -0.9733 0.2382 -0.1333 0.104
H -1.803306 0.082226 -1.173485 -1.0533 -0.1780 -0.3808 0.099
H -2.089523 -0.860369 0.401605 -0.9291 -0.2407 -0.4476 0.112
H 0.816423 -2.083272 -0.581193 0.5666 0.3690 -0.3717 0.103
H 0.115708 -1.993934 1.013972 1.2622 -0.1028 0.4370 0.115
H 1.609987 -0.754213 0.618668 -0.5409 -2.7707 -0.1007 0.147
H 0.926185 2.359309 1.407637 0.4440 0.2217 -1.7583 0.149
H 1.916195 2.365674 -0.355562 -1.6132 -0.7799 1.2893 0.164

Entry 2:
27
Properties=species:S:1:pos:R:3:forces:R:3:lowdin_charge:R:1 method="wB97M-V/def2-TZVPD" e_above_lowest_kj_mol=389.8 orbital_gap_ha="0.277 / 0.251" mol_weight_g_mol=228.27 lumo_ev="-0.407 / -0.070" total_energy_ha=-1087.1984
C 2.614525 1.772278 0.125685 -0.1486 1.9448 0.2998 -0.084
C 2.111465 1.613293 -1.167808 0.7231 1.0467 -0.3294 -0.096
C 2.431066 0.809035 1.089729 1.9957 1.2193 0.4370 -0.101
C 1.572423 0.453994 -1.528826 -2.1433 -4.2452 0.6435 -0.038
C 1.866423 -0.375768 0.757497 1.2732 -1.9999 1.7020 -0.079
C 1.408472 -0.649211 -0.530419 2.1005 4.9186 -0.8295 -0.213
C 0.693227 -1.738265 -0.642213 -2.0281 -3.7240 -0.0306 -0.163
C -2.272785 -1.634699 1.538162 0.9434 -2.0996 1.1319 -0.073
C -1.698092 0.059539 -1.829364 3.4170 -3.6775 2.4108 -0.107
C -1.275093 -0.612839 1.092830 -0.8433 1.2478 -1.6797 -0.440
O 0.500911 -2.895901 -0.668225 -0.0808 0.5449 -0.2988 0.180
O -3.368395 0.872306 0.084438 0.9484 -0.5468 0.0286 -0.334
O -1.086510 1.811452 0.074231 0.9725 0.4314 0.4707 -0.329
O -0.472854 0.044549 1.925027 0.3702 2.0332 0.0431 -0.035
S -1.934569 0.656624 -0.082226 -1.7780 -1.1186 -1.5909 0.693
H 3.057495 2.740669 0.409481 -0.1299 -0.6156 -0.2373 0.113
H 2.181269 2.395253 -1.913719 0.1149 0.1223 0.1624 0.118
H 2.989162 0.982734 2.038437 -0.9478 -0.4543 -0.5615 0.132
H 1.040620 0.143143 -2.427644 0.9600 0.9916 -0.4490 0.101
H 2.055014 -1.200508 1.465757 -0.8495 0.3432 -0.3113 0.144
H -1.818122 -2.274947 2.389770 -0.6387 1.3570 -1.0272 0.114
H -3.226873 -1.186666 1.889905 0.5125 -0.3299 -0.3626 0.087
H -2.420029 -2.450960 0.770904 -0.1940 1.2605 0.4160 0.094
H -0.583633 0.141273 -2.060091 -1.9411 0.5369 0.4128 0.023
H -1.779271 -1.122463 -1.856701 -0.7443 2.4902 0.0439 0.112
H -2.267457 0.613765 -2.488687 -1.4510 0.9159 -1.1864 0.027
H -0.318402 1.032327 1.544063 -0.4130 -2.5929 0.6916 0.155

Entry 3:
90
=====
“…our results demonstrate that more than half of the time, positive fluorescence is something other than a bruise. There is no evidence base, therefore, to support the use of an alternate light source as an independent tool to definitively interpret fluorescence as a sub- clinical bruise (i.e., bruising that is not visible to the naked eye). Given the high false-positive rate in detecting subclinical bruising, it is essential for medical and legal professionals to understand the resulting implications of promoting the use of ALS in a forensic setting.” (p. 5)
This article is worthy of a thorough read. It is not the final word on the topic by any means—it, too has limitations, including a relatively small sample size. However, it is, for me, a good place to finally begin having the conversation. Too much of what has been taught and spoken about on this subject has been based on very little research and quite a bit of conjecture. I have addressed that, to some extent, in my clinical guide on ALS and bruising (now updated), but I’m thrilled to have this article to support my professional skepticism on its widespread adoption for assessing bruising in the clinical setting.
3 replies on “Using Alternate Light Source to Identify Subclinical Bruising”
Hi, with respect to the above post and the quotes from the soon to be published paper on using an ALS for the detection of bruising, it is clear that the authors still do not have a good understanding of the basic science behind using an ALS in this application. There is NO fluorescence involved. It is strictly the absorption and reflection characteristics of chromophores in the pooled blood in the bruise relative to the surrounding tissue that allows you to potentially detect an area that may be a bruise or other ligature or strangulation marks. In our training on the use of an ALS, we discuss the actual science of the absorption properties of the various chromophores, and make it very clear that the use of an ALS alone cannot confirm the presence of a bruise or other mark, but can only add credence to the information being provided by the victim. No detection system at this time can confirm the presence of a bruise.
I agree that the fluoresce vs absorb aspect gets botched here–I don’t know if it’s a sloppy use of language or actual misunderstanding of the science. I will attempt to reach out to the authors for clarification (I do not know them personally). However, the takeaway in this research is critical for me, seeing how many emails I get a month (not to mention conversations I have at trainings and conferences) about people eager to use or already using ALS to identify bruising, along with attorneys wanting to take this type of “evidence” into court. I’m thrilled to hear you are not teaching that ALS can identify subclinical bruising, but I know that is not the consistent message being taught out there.
Thanks for your comment–and for reading FHO.
Thank you for keeping us up to date on this very important subject.